_Input_
-- begin --
A cluster of 5 separate species, C19H28BF12IO13PS in total at a distorted geometry, computed with wB97M-V/def2-TZVPD.

As for the net charge: -1. For the largest force on an atom, the calculation gives 6.3 eV Å⁻¹. The calculation puts the energy at -3979.4565 hartree. Its orbital gap is 6.9 eV.

```
76
Properties=species:S:1:pos:R:3:forces:R:3:lowdin_charge:R:1
C -2.7936 1.9938 0.5764 0.1 -1.2 1.9 -0.1698
S -2.9306 2.5251 -1.2148 1.2 -2.8 -5.5 0.7929
O -1.6569 1.9759 -1.9674 -4.2 1.7 3.1 -0.4225
O -4.2619 2.0338 -1.8618 3.6 1.7 2.9 -0.4405
C -2.8833 4.4006 -1.4725 1.2 3.5 1.0 -0.2945
O -1.5160 4.9846 -1.6433 -3.4 -2.3 -0.1 -0.1809
B -1.4362 6.2103 -0.8245 -1.5 -0.3 -1.3 -1.1638
I -0.0317 5.6291 0.7625 0.7 -0.8 1.6 0.7498
O -2.8480 6.5509 -0.4486 -0.7 -2.0 0.4 -0.1176
C -3.4582 5.2382 -0.1858 1.6 0.2 0.5 -0.4351
P -5.3479 5.0881 0.0440 -1.6 5.6 1.0 0.7893
O -5.9549 6.5456 0.3659 1.6 -4.8 -1.0 -0.5384
H -1.8161 1.3255 0.7085 -2.0 1.8 -0.7 0.0953
H -3.7058 1.2844 0.8687 1.8 1.7 -1.1 0.0918
H -2.7508 2.8649 1.3568 0.0 -1.4 -1.8 0.0673
H -3.5400 4.8190 -2.3772 1.2 -2.0 1.6 0.1827
H -0.8327 7.0206 -1.4331 -0.1 0.8 -0.1 0.0390
H -3.0529 4.9766 0.8986 -0.6 -0.2 -2.2 0.1001
H -5.5546 4.1731 1.1739 0.4 0.4 -1.1 0.0119
H -6.0356 4.4618 -1.0839 0.9 0.2 0.8 0.0176
C 0.4612 -0.2816 -2.5737 0.0 -0.3 0.3 -0.0711
C 1.7641 0.3754 -2.9892 -0.8 0.1 -0.6 -0.1980
O 2.7365 0.2831 -1.9356 1.7 -1.7 0.7 0.0185
C 3.3993 -0.9131 -1.8298 -2.3 0.1 -2.6 -0.3295
O 3.1982 -1.8736 -2.5688 1.0 1.7 2.0 0.1276
C 4.4327 -0.8588 -0.7065 1.5 0.3 2.0 -0.4694
F 3.9397 -0.3039 0.4380 0.1 -0.5 -1.2 0.1441
F 5.5240 -0.1153 -1.0488 -1.1 -0.6 -0.1 0.1424
F 4.9055 -2.0887 -0.3558 -0.7 0.9 -0.7 0.1252
H 0.0996 0.1434 -1.6314 0.0 0.1 -0.3 0.0686
H -0.3043 -0.1427 -3.3422 0.1 0.1 0.2 0.0855
H 0.5943 -1.3550 -2.4078 0.1 0.1 -0.2 0.0711
H 1.5948 1.4411 -3.1717 0.2 -0.1 0.3 0.1338
H 2.1563 -0.0517 -3.9195 0.1 -0.1 0.3 0.1230
C 5.6670 8.9276 0.5639 -0.2 -0.3 -0.1 -0.0679
C 4.9096 10.1935 0.9183 0.6 -0.1 0.2 -0.2182
O 3.5739 10.1489 0.3908 -1.4 -0.5 0.6 0.0051
C 2.6623 9.4266 1.1178 2.5 -0.5 1.9 -0.3170
O 2.9338 8.8344 2.1594 -1.0 1.4 -2.5 0.1391
C 1.2790 9.5020 0.4746 -2.9 -0.7 -1.1 -0.4763
F 1.3128 9.3050 -0.8748 0.5 0.2 1.2 0.1367
F 0.6900 10.7176 0.6657 0.9 -0.6 0.1 0.1364
F 0.4088 8.5761 0.9690 1.6 1.6 -0.2 0.0338
H 5.6492 8.7589 -0.5181 0.1 0.1 0.1 0.0837
H 6.7071 8.9936 0.8952 -0.1 0.0 0.0 0.0783
H 5.2103 8.0492 1.0299 0.1 0.2 0.0 0.0795
H 5.4028 11.0559 0.4593 -0.4 -0.1 -0.1 0.1214
H 4.8953 10.3694 2.0002 -0.2 -0.2 -0.2 0.1236
C 4.0684 -5.1557 1.0292 0.1 -0.1 0.3 -0.0595
C 2.6407 -4.9661 0.5522 0.6 0.6 -0.4 -0.2042
O 1.7655 -5.9145 1.1837 -1.2 -0.1 1.8 0.0081
C 1.3579 -5.6044 2.4562 2.0 2.7 -0.9 -0.3244
O 1.7027 -4.5894 3.0561 -1.2 -2.7 -1.0 0.1481
C 0.3979 -6.6666 2.9881 -1.4 -1.7 1.2 -0.4684
F 0.8348 -7.9377 2.7544 -0.1 1.2 0.0 0.1352
F -0.8356 -6.5779 2.4124 1.1 0.3 0.2 0.1357
F 0.1966 -6.5788 4.3338 0.5 0.3 -1.4 0.1415
H 4.3911 -6.1909 0.8752 -0.1 0.1 -0.1 0.0831
H 4.7478 -4.4888 0.4911 -0.2 -0.1 0.0 0.0696
H 4.1585 -4.9509 2.1003 0.0 0.1 -0.2 0.0791
H 2.5866 -5.1534 -0.5247 -0.2 -0.2 0.3 0.1298
H 2.2892 -3.9412 0.7183 0.0 -0.3 0.2 0.1273
C -2.5731 -10.3618 1.4788 -0.2 -0.3 -0.1 -0.0613
C -2.8402 -8.9510 0.9888 0.4 -0.1 0.7 -0.2109
O -3.4368 -8.9732 -0.3180 -1.9 -0.1 -0.7 0.0125
C -4.7854 -9.2195 -0.3611 0.8 0.0 3.2 -0.3235
O -5.4758 -9.4197 0.6351 1.2 0.4 -2.7 0.1415
C -5.2969 -9.1671 -1.7993 -1.0 0.0 -2.5 -0.4709
F -4.4993 -9.8519 -2.6687 -0.4 0.5 1.1 0.1383
F -5.3652 -7.8897 -2.2733 0.2 -0.9 0.8 0.1443
F -6.5471 -9.6924 -1.9411 1.3 0.4 0.7 0.1386
H -1.9682 -10.9135 0.7513 0.0 0.2 0.1 0.0842
H -2.0470 -10.3453 2.4373 0.0 0.1 -0.1 0.0823
H -3.5055 -10.9203 1.6053 0.1 0.2 0.1 0.0760
H -1.8932 -8.4104 0.8956 -0.3 -0.1 -0.3 0.1141
H -3.4642 -8.3876 1.6922 -0.1 -0.2 -0.3 0.1291
```
Forces are in eV/Å.



A structure of composition C19H28BF4O2Ti at a distorted geometry, computed with wB97M-V/def2-TZVPD.
-- stop --

_Work order_
Copy the material further above without additions, please.

_Solution_
A cluster of 5 separate species, C19H28BF12IO13PS in total at a distorted geometry, computed with wB97M-V/def2-TZVPD.

As for the net charge: -1. For the largest force on an atom, the calculation gives 6.3 eV Å⁻¹. The calculation puts the energy at -3979.4565 hartree. Its orbital gap is 6.9 eV.

```
76
Properties=species:S:1:pos:R:3:forces:R:3:lowdin_charge:R:1
C -2.7936 1.9938 0.5764 0.1 -1.2 1.9 -0.1698
S -2.9306 2.5251 -1.2148 1.2 -2.8 -5.5 0.7929
O -1.6569 1.9759 -1.9674 -4.2 1.7 3.1 -0.4225
O -4.2619 2.0338 -1.8618 3.6 1.7 2.9 -0.4405
C -2.8833 4.4006 -1.4725 1.2 3.5 1.0 -0.2945
O -1.5160 4.9846 -1.6433 -3.4 -2.3 -0.1 -0.1809
B -1.4362 6.2103 -0.8245 -1.5 -0.3 -1.3 -1.1638
I -0.0317 5.6291 0.7625 0.7 -0.8 1.6 0.7498
O -2.8480 6.5509 -0.4486 -0.7 -2.0 0.4 -0.1176
C -3.4582 5.2382 -0.1858 1.6 0.2 0.5 -0.4351
P -5.3479 5.0881 0.0440 -1.6 5.6 1.0 0.7893
O -5.9549 6.5456 0.3659 1.6 -4.8 -1.0 -0.5384
H -1.8161 1.3255 0.7085 -2.0 1.8 -0.7 0.0953
H -3.7058 1.2844 0.8687 1.8 1.7 -1.1 0.0918
H -2.7508 2.8649 1.3568 0.0 -1.4 -1.8 0.0673
H -3.5400 4.8190 -2.3772 1.2 -2.0 1.6 0.1827
H -0.8327 7.0206 -1.4331 -0.1 0.8 -0.1 0.0390
H -3.0529 4.9766 0.8986 -0.6 -0.2 -2.2 0.1001
H -5.5546 4.1731 1.1739 0.4 0.4 -1.1 0.0119
H -6.0356 4.4618 -1.0839 0.9 0.2 0.8 0.0176
C 0.4612 -0.2816 -2.5737 0.0 -0.3 0.3 -0.0711
C 1.7641 0.3754 -2.9892 -0.8 0.1 -0.6 -0.1980
O 2.7365 0.2831 -1.9356 1.7 -1.7 0.7 0.0185
C 3.3993 -0.9131 -1.8298 -2.3 0.1 -2.6 -0.3295
O 3.1982 -1.8736 -2.5688 1.0 1.7 2.0 0.1276
C 4.4327 -0.8588 -0.7065 1.5 0.3 2.0 -0.4694
F 3.9397 -0.3039 0.4380 0.1 -0.5 -1.2 0.1441
F 5.5240 -0.1153 -1.0488 -1.1 -0.6 -0.1 0.1424
F 4.9055 -2.0887 -0.3558 -0.7 0.9 -0.7 0.1252
H 0.0996 0.1434 -1.6314 0.0 0.1 -0.3 0.0686
H -0.3043 -0.1427 -3.3422 0.1 0.1 0.2 0.0855
H 0.5943 -1.3550 -2.4078 0.1 0.1 -0.2 0.0711
H 1.5948 1.4411 -3.1717 0.2 -0.1 0.3 0.1338
H 2.1563 -0.0517 -3.9195 0.1 -0.1 0.3 0.1230
C 5.6670 8.9276 0.5639 -0.2 -0.3 -0.1 -0.0679
C 4.9096 10.1935 0.9183 0.6 -0.1 0.2 -0.2182
O 3.5739 10.1489 0.3908 -1.4 -0.5 0.6 0.0051
C 2.6623 9.4266 1.1178 2.5 -0.5 1.9 -0.3170
O 2.9338 8.8344 2.1594 -1.0 1.4 -2.5 0.1391
C 1.2790 9.5020 0.4746 -2.9 -0.7 -1.1 -0.4763
F 1.3128 9.3050 -0.8748 0.5 0.2 1.2 0.1367
F 0.6900 10.7176 0.6657 0.9 -0.6 0.1 0.1364
F 0.4088 8.5761 0.9690 1.6 1.6 -0.2 0.0338
H 5.6492 8.7589 -0.5181 0.1 0.1 0.1 0.0837
H 6.7071 8.9936 0.8952 -0.1 0.0 0.0 0.0783
H 5.2103 8.0492 1.0299 0.1 0.2 0.0 0.0795
H 5.4028 11.0559 0.4593 -0.4 -0.1 -0.1 0.1214
H 4.8953 10.3694 2.0002 -0.2 -0.2 -0.2 0.1236
C 4.0684 -5.1557 1.0292 0.1 -0.1 0.3 -0.0595
C 2.6407 -4.9661 0.5522 0.6 0.6 -0.4 -0.2042
O 1.7655 -5.9145 1.1837 -1.2 -0.1 1.8 0.0081
C 1.3579 -5.6044 2.4562 2.0 2.7 -0.9 -0.3244
O 1.7027 -4.5894 3.0561 -1.2 -2.7 -1.0 0.1481
C 0.3979 -6.6666 2.9881 -1.4 -1.7 1.2 -0.4684
F 0.8348 -7.9377 2.7544 -0.1 1.2 0.0 0.1352
F -0.8356 -6.5779 2.4124 1.1 0.3 0.2 0.1357
F 0.1966 -6.5788 4.3338 0.5 0.3 -1.4 0.1415
H 4.3911 -6.1909 0.8752 -0.1 0.1 -0.1 0.0831
H 4.7478 -4.4888 0.4911 -0.2 -0.1 0.0 0.0696
H 4.1585 -4.9509 2.1003 0.0 0.1 -0.2 0.0791
H 2.5866 -5.1534 -0.5247 -0.2 -0.2 0.3 0.1298
H 2.2892 -3.9412 0.7183 0.0 -0.3 0.2 0.1273
C -2.5731 -10.3618 1.4788 -0.2 -0.3 -0.1 -0.0613
C -2.8402 -8.9510 0.9888 0.4 -0.1 0.7 -0.2109
O -3.4368 -8.9732 -0.3180 -1.9 -0.1 -0.7 0.0125
C -4.7854 -9.2195 -0.3611 0.8 0.0 3.2 -0.3235
O -5.4758 -9.4197 0.6351 1.2 0.4 -2.7 0.1415
C -5.2969 -9.1671 -1.7993 -1.0 0.0 -2.5 -0.4709
F -4.4993 -9.8519 -2.6687 -0.4 0.5 1.1 0.1383
F -5.3652 -7.8897 -2.2733 0.2 -0.9 0.8 0.1443
F -6.5471 -9.6924 -1.9411 1.3 0.4 0.7 0.1386
H -1.9682 -10.9135 0.7513 0.0 0.2 0.1 0.0842
H -2.0470 -10.3453 2.4373 0.0 0.1 -0.1 0.0823
H -3.5055 -10.9203 1.6053 0.1 0.2 0.1 0.0760
H -1.8932 -8.4104 0.8956 -0.3 -0.1 -0.3 0.1141
H -3.4642 -8.3876 1.6922 -0.1 -0.2 -0.3 0.1291
```
Forces are in eV/Å.



A structure of composition C19H28BF4O2Ti at a distorted geometry, computed with wB97M-V/def2-TZVPD.